KaiNexus Blog

Improvement Software Rollout: How to Overcome Resistance to Change

Written by Maggie Millard | Dec 21, 2020 4:41:28 PM

By the time an organization invests in software technology to support continuous improvement, they've usually embraced the idea that improvement should be a daily activity practiced by everyone in the organization. They realize that the people closest to the production of value for the customer are the ones who are in the best position to identify and resolve problems.

But not all improvement software rollouts are successful. You can pick the best technology platform on the planet, but it is useless if people won't use it. Often managers are focused on the training aspects of a new software implementation, and rightly so, but user adoption should be a parallel concern. Here are ten things you can do to get your team fully on board with your new improvement management solution.

Have empathy

There's a reason that improvement in the workplace is so hard to sustain. People don't like change and tend to revert to the more comfortable, old way of doing things. This is true for any change, new software included. While the solution's benefits may seem obvious to you, keep in mind that you are asking people to change their habits, learn something unfamiliar, and do things differently. Once you accept this reality and develop some empathy, you can lead people down the path to adoption in a way that improves your shot at success.

Tap into the "opportunity backlog"

Most people in your organization already know that things can be improved. If you talk to anyone, they can probably come up with a list of pet annoyances. You'd probably hear about red-tape issues, mundane tasks, too many meetings, workplace disorganization, etc. These irritations are fuel for your improvement software rollout because they are precisely the types of opportunities for improvement your platform is designed to collect and resolve. After all, implementing a system for positive change is an acknowledgment that progress is possible. Most people find this refreshing and exciting.

Look for the influencers

Every organization will find that there are some people who are more eager for change and improvement. Identify these people and involve them from the very first activities regarding your rollout. Executive leadership is essential, but don't shy away from building a coalition across all functional areas and seniority levels. It is smart to have at least one person in every department involved in your core implementation team.

Communicate effectively and stay ahead of the rumors

Where direct communication is absent, misinformation will flourish. That's why it is essential to allow team members to express their concerns and questions. The more people know about the software you are going to implement, why you are doing it, and how they will be impacted, the better. If possible, share all the information with everyone at the same time to avoid it becoming distorted. When you hear of any untrue rumors circulating through the staff, address them quickly and directly.

Address pessimists individually

You may have detractors who are actively opposed to implementing improvement software. Perhaps they have a particular reason for their opposition, or maybe they are strong resisters to change generally. It is best to talk to them individually because people tend to be less hostile in personal meetings. Negative attitudes are contagious, so you want to get to the cause of it before it affects the entire team. Everyone is entitled to fears and doubts, and they should be encouraged to speak up; that's the point of continuous improvement after all. 

Expect the implementation to reveal other problems

Some of the challenges you experience in your quality software rollout may have nothing to do with the technology at all. People may be unhappy with how the solution is rolled out, internal procedures, or other management aspects. There may be other systems that don't work well, and your new improvement software will make these more apparent. Look at your implementation as a chance to learn more about adjacent processes and procedures.

=====
Starting from DFT lattice parameters and positions (GGA-PBE), the powder diffractogram of PmHo4Tl was computed for Cu Kα (λ = 1.5418 Å).
Intensities are scaled so that the largest is 100.

Main lines, low angle first (15 to 90 degrees two-theta):
- 2θ = 28.65°, I 29
- 2θ = 28.84°, I 29
- 2θ = 29.91°, I 100
- 2θ = 32.11°, I 79
- 2θ = 32.24°, I 76
- 2θ = 34.34°, I 24
- 2θ = 36.61°, I 73
- 2θ = 43.80°, I 19
- 2θ = 45.13°, I 23
- 2θ = 60.40°, I 38

Crystal structure
```
PmHo4Tl
1.0
2.777 -10.550 0.000
2.777 10.550 0.000
0.000 0.000 6.522
Pm Ho Tl
2 8 2
Direct
0.064 0.936 0.500
0.936 0.064 0.000
0.139 0.861 0.011
0.255 0.745 0.377
0.317 0.683 0.855
0.460 0.540 0.675
0.540 0.460 0.175
0.683 0.317 0.355
0.745 0.255 0.877
0.861 0.139 0.511
0.397 0.603 0.252
0.603 0.397 0.752
```

* * * * *

Record 1
The following is a calculated PXRD pattern of MnZnAu3. It was derived from a PBE-relaxed structure, using CuKα.

Most intense lines, 10° ≤ 2θ ≤ 90°, by angle:
2θ = 27.22°, rel. 58, (-1 1 1); 2θ = 37.67°, rel. 50, (0 2 1); 2θ = 38.09°, rel. 64, (2 0 0); 2θ = 40.54°, rel. 100, (1 1 -2); 2θ = 40.72°, rel. 96, (1 1 3); 2θ = 42.41°, rel. 24, (1 2 1); 2θ = 54.65°, rel. 34, (2 2 1); 2θ = 70.48°, rel. 20, (3 -1 2); 2θ = 70.61°, rel. 19, (3 1 3); 2θ = 75.86°, rel. 21, (2 0 5)

Atomic structure:
Cell lengths 4.725, 4.776, 7.761 Å; angles 72.42, 89.98, 89.99 degrees
Space group P-1 (No. 2)
Symmetry-distinct sites (fractional):
Mn: 0.250 0.107 0.200 [2 per cell]
Zn: 0.250 0.304 0.799 [2 per cell]
Au: 0.250 0.516 0.386 [2 per cell]
Au: 0.250 0.710 0.998 [2 per cell]
Au: 0.250 0.905 0.609 [2 per cell]



Record 2
The following is a calculated PXRD pattern of CaLaBiO. It was derived from a PBE-relaxed structure, using CuKα.

Most intense lines, 10° ≤ 2θ ≤ 90°, by angle:
2θ = 20.94°, rel. 68, (1 0 1); 2θ = 28.07°, rel. 65, (1 1 1); 2θ = 29.57°, rel. 40, (0 0 3); 2θ = 32.97°, rel. 100, (1 1 2); 2θ = 37.47°, rel. 58, (2 0 0); 2θ = 43.31°, rel. 23, (2 1 1); 2θ = 48.44°, rel. 41, (2 0 3); 2θ = 57.66°, rel. 28, (1 1 5); 2θ = 64.76°, rel. 36, (3 1 2); 2θ = 82.98°, rel. 20, (3 1 5)

Atomic structure:
Cell lengths 4.800, 4.800, 9.062 Å; angles 90.00, 90.00, 90.00 degrees
Space group P4/nmm (No. 129, origin choice 2)
Symmetry-distinct sites (fractional):
Ca: 0.250 0.250 0.163 [2 per cell]
La: 0.250 0.750 0.500 [2 per cell]
Bi: 0.250 0.250 0.799 [2 per cell]
O: 0.250 0.250 0.421 [2 per cell]



Record 3
The following is a calculated PXRD pattern of LiTlI2. It was derived from a PBE-relaxed structure, using CuKα.

Most intense lines, 10° ≤ 2θ ≤ 90°, by angle:
2θ = 21.45°, rel. 25, (0 0 3); 2θ = 25.26°, rel. 100, (1 -1 0); 2θ = 27.56°, rel. 20, (0 1 3); 2θ = 28.43°, rel. 19, (1 0 -3); 2θ = 28.73°, rel. 24, (0 0 4); 2θ = 33.37°, rel. 34, (1 1 3); 2θ = 34.61°, rel. 18, (0 2 0); 2θ = 37.40°, rel. 19, (2 0 0); 2θ = 38.62°, rel. 41, (-1 1 4); 2θ = 47.83°, rel. 13, (2 0 -4)

Atomic structure:
Cell lengths 4.809, 5.184, 12.430 Å; angles 90.00, 89.94, 90.00 degrees
Space group P1 (No. 1)
=====
The text goes on =

Expect a "depression" phase

In change management theory, there is a phase called depression or chaos that comes immediately after starting something new. Acknowledge to the team that the first days or weeks of using a new software platform can be difficult. Be prepared to offer both training and emotional support. The depression phase won't last long; soon, you'll get to a point where people wonder how they ever managed before.

Create and celebrate quick wins

There are two parts to this tip. First, broadcast and beat the drum for every success related to the rollout itself. Did everyone get trained? Was the first opportunity for improvement submitted? Have your boards been configured for each location? If so, be sure to give those involved a big pat on the back. The second part of this tip is to identify an opportunity for improvement that can be implemented quickly and use the system to do so. That way people will see that the software can be a useful tool for improving how they work.

Give it time

Just like continuous improvement is a daily process, software implementation with high user adoption takes time and attention. The requirement isn't that everyone will be immediately proficient on day one; instead, the goal is to get a little bit better and a little bit broader over the first days, weeks, and months.

Cloud-based software and modern user interfaces have made the technical parts of rolling out an improvement management platform more painless than ever. The human aspects, however, are unchanged. With good planning, empathy, patience, and persistence, we know you can make your implementation a success.